What is insomnia?
Children with insomnia are very common. They may have difficulty going to sleep or having trouble staying asleep. Insomniac children may also be prone to waking up early. Children of all ages can have insomnia, including infants, toddlers, pre-schoolers, school-aged kids, and adolescents.
Sleep problems can have a significant impact on daytime functioning. Issues related to insufficient rest include difficulties with attention, fatigue, excessive sleepiness, behavioral problems like hyperactivity, poor impulse control, and emotional regulation issues. Furthermore, insomnia in children may force caregivers to be sleep deprived and disrupt family life.
What we can do to care for insomnia
The Sleep Centre at Boston Children’s Hospital can assist parents in addressing these issues. This can make a big difference in getting a good sleep.
Our team of specialists provides specialized care for your child.
Symptoms & Causes
What are the symptoms and signs of insomnia in children?
Children can experience insomnia at any age, from childhood to adolescence. In some cases, it can become a chronic problem. Symptoms include:
- Bedtime refusal and struggling to go to bed
- After lights out, “curtain” calls are common (such as asking for stories, drinks, or hugs).
- Having difficulty sleeping in bed
- Night wakings that are frequent and prolonged, with problems returning to sleep
- Wake up earlier than you want
- Resistance to a proper sleep schedule
- Having difficulty napping
- Trouble waking up in the morning or getting ready for school
Parents or caregivers often report that children with insomnia experience daily symptoms. Daytime symptoms include:
- fatigue, tiredness, sleepiness
- Attention, concentration, and memory impairments
- Problems with family, work, or academic performance
- Anxiety or mood disorders
- Behavioral issues (hyperactivity or aggressive behavior)
- Reduced Motivation
- Poor decision-making, impulse control, and poor decision-making
- Low tolerance for frustration
What causes insomnia in kids?
Quantum chemistry results from another source follow:
********
Entry w
The following is a quantum chemistry calculation of the molecule CBr2N2O, from OMol25.

Geometry as XYZ:
```
6
Properties=species:S:1:pos:R:3:lowdin_charge:R:1
O -2.4131 0.5809 -0.2360 0.046
N -1.5374 0.2169 0.4430 -0.108
N -0.4225 -0.4547 0.0019 -0.059
C 0.8216 -0.1810 -0.1266 -1.256
Br 1.4676 1.5165 -0.0350 0.756
Br 2.0839 -1.6786 -0.0473 0.621
```

Properties
HOMO-LUMO gap: 0.33799 Ha
SMILES: O=NN=C(Br)Br

***

Entry x
The following is a quantum chemistry calculation of a structure of composition CBr2N2O, from OMol25.

Geometry as XYZ:
```
6
Properties=species:S:1:pos:R:3:lowdin_charge:R:1
C -1.7515 -0.1126 -0.0868 -1.017
N 1.3626 0.6414 0.3461 0.215
N 1.6618 0.1962 -0.6054 -0.316
O 1.8217 -0.3173 -1.6261 0.107
Br -1.7181 1.3257 1.0818 0.545
Br -1.3765 -1.7334 0.8904 0.465
```

Properties
HOMO-LUMO gap: 0.29949 Ha

***

Calculated relative energies: entry w 0.0; entry x 119.0, given in kJ/mol

***

Entry w
The following is a quantum chemistry calculation of a cluster of 2 separate species, C2H10NS2 in total, from OMol25.

Geometry as XYZ:
```
15
Properties=species:S:1:pos:R:3:lowdin_charge:R:1
C 0.5651 2.2846 -2.4658 0.009
N 0.6922 1.4443 -1.1695 0.122
H 0.9474 1.7702 -3.4425 0.144
H 1.2917 3.0756 -2.2157 0.095
H -0.4455 2.7162 -2.5213 0.102
H 1.2800 0.6776 -1.3839 0.117
H 1.0042 2.0242 -0.3920 0.165
H -0.1833 0.9384 -1.0113 0.021
C -0.2468 0.2714 2.1926 -0.508
S 0.4053 -1.1002 1.2170 0.404
S -0.8864 -1.1711 -0.3973 0.382
H 0.5495 1.0819 2.4601 0.068
H -1.1811 0.6428 1.7399 0.021
H -0.6443 -0.1121 3.1800 0.050
H -1.6763 -1.9210 0.2975 -0.192
```

Properties
HOMO-LUMO gap: 0.34495 Ha
Charge: +1

***

Entry x
The following is a quantum chemistry calculation of a cluster of 2 separate species, C2H10NS2 in total, from OMol25.

Geometry as XYZ:
```
15
Properties=species:S:1:pos:R:3:lowdin_charge:R:1
C 3.0925 2.1803 1.7695 0.001
N 2.0332 1.6868 0.8060 0.141
H 4.0010 1.5836 1.5525 0.112
H 3.3651 3.1328 1.2950 0.106
H 2.9109 2.1809 2.8440 0.111
H 2.1034 2.1486 -0.0987 0.171
H 1.0454 1.8710 1.0700 0.183
H 1.9640 0.6611 0.8080 0.175
C -2.8072 -2.6611 -2.4194 -0.472
S -3.2238 -1.1599 -1.5196 0.329
S -2.6812 -1.3190 0.3976 0.217
H -1.7848 -2.5713 -2.7736 0.021
H -3.4946 -2.8432 -3.2348 0.033
H -2.7676 -3.5359 -1.7545 0.041
H -3.7563 -1.3548 1.2579 -0.168
```

Properties
HOMO-LUMO gap: 0.25739 Ha
Charge: +1

***

Entry y
The following is a quantum chemistry calculation of a cluster of 2 separate species, C2H10NS2 in total, from OMol25.

Geometry as XYZ:
```
15
Properties=species:S:1:pos:R:3:lowdin_charge:R:1
C -0.9419 0.7974 1.7502 -0.451
S -1.6462 1.3104 0.1620 0.409
S -0.1360 2.4071 -0.7276 0.343
H -0.6212 -0.2365 1.7279 0.004
H -1.7287 0.8922 2.4880 0.036
H -0.1069 1.4335 2.0484 0.042
H -0.2304 3.5348 -0.0136 -0.158
C 0.5115 -1.8258 -0.4430 -0.017
N 0.8434 -0.7303 -1.4015 0.138
H 0.9580 -1.5973 0.5152 0.098
H -0.5681 -1.8746 -0.3386 0.099
H 0.8900 -2.7599 -0.8362 0.105
H 1.8514 -0.6085 -1.5029 0.173
H 0.4591 0.1785 -1.0977 0.004
********
Back to the text:
Sleeplessness is often a symptom of something else. Some of the possible causes of insomnia include:
- Another sleep disorder (such as restless leg syndrome or obstructive sleeping apnea).
- Anxiety or stress
- a medical, mental health, or developmental condition such as asthma, depression, attention-deficit/hyperactivity disorder (ADHD), or autism
- Certain medications, such as antidepressants or steroids
- Many types of energy drinks and sodas contain caffeine
Diagnosis & Treatments
What is the diagnosis of insomnia?
Sleep specialists can diagnose your child’s insomnia using these techniques:
- Take a detailed medical history, including mental health and developmental issues.
- Doing a complete physical exam
- A sleep diary is kept by the parents, caregivers, or child (if they are old enough). The log will help you track your child’s sleeping patterns and amount of sleep for an extended period of time.
- Following your child’s sleeping patterns for two to three weeks with an actigraph, a validated wristwatch-like device.
- In rare cases, the sleep specialist may recommend an overnight sleep study if they suspect additional sleep problems, such as sleep apnea or excessive movement during sleep. Sleep studies are not necessary for the majority of insomniacs.
What are the treatment options for insomnia?
It is good to know that insomnia can be treated, mainly when it’s behavioral. Some children are dependent on certain conditions to fall asleep. For instance, they may need to be rocked, fed, or have a parent nearby. A caregiver must help the child fall asleep when they wake up at night, as all children do. Other times, toddlers may resist going to bed, be unable to relax before bedtime or have an irregular or inappropriate sleep schedule. Changes in these behaviors and habits can improve sleep for all. A sleep specialist can help.
In older children or adolescents with insomnia, the behavioral strategies include active patient involvement in developing and implementing the treatment plan. It may be a program designed specifically for insomnia called Cognitive Behavioral Therapy for Insomnia or CBT-I.
What medications can help with insomnia?
In rare cases, behavioral therapy and sleep medication may be recommended for children with insomnia. It is most common in children with more complex medical or mental health issues. The Sleep Center at Boston Children’s Hospital works with families to determine the most appropriate and effective medication for these children.